**Work order:**
Restate the lines below unchanged.
**Source:**
- - -
{"formula": "MgTa4As4O20", "functional": "PBE", "state": "optimized geometry", "spacegroup": "No. 6", "ef_ev_per_atom": -2.505, "mass_density_g_cm3": 4.85, "vol_a3_per_fu": 468.7, "crystal_system": "monoclinic", "cell": [[6.990, 0.000, 0.000], [0.000, 5.536, 0.000], [-1.024, 0.000, 12.114]], "species": ["Mg", "Ta", "Ta", "Ta", "Ta", "As", "As", "As", "As", "O", "O", "O", "O", "O", "O", "O", "O", "O", "O", "O", "O", "O", "O", "O", "O", "O", "O", "O", "O"], "frac_coords": [[0.000, 0.000, 0.000], [0.316, 0.000, 0.602], [0.406, 0.000, 0.132], [0.773, 0.500, 0.203], [0.992, 0.500, 0.701], [0.068, 0.000, 0.328], [0.307, 0.500, 0.958], [0.603, 0.500, 0.493], [0.703, 0.000, 0.798], [0.114, 0.500, 0.856], [0.126, 0.000, 0.464], [0.158, 0.250, 0.656], [0.158, 0.750, 0.656], [0.229, 0.225, 0.033], [0.229, 0.775, 0.033], [0.287, 0.000, 0.267], [0.464, 0.000, 0.752], [0.485, 0.248, 0.537], [0.485, 0.752, 0.537], [0.583, 0.250, 0.152], [0.583, 0.750, 0.152], [0.611, 0.500, 0.355], [0.735, 0.000, 0.939], [0.805, 0.252, 0.750], [0.805, 0.748, 0.750], [0.834, 0.500, 0.555], [0.892, 0.500, 0.079], [0.948, 0.248, 0.282], [0.948, 0.752, 0.282]]}

* * * * *

First-principles (PBE+U) data for crystalline Li4V5O10 at its relaxed geometry, as listed in Materials Project.

Cell: 5.153 5.244 7.840 Å, 71.13 71.89 80.47°
Sites, in units of the cell vectors:
Li 0.000 0.000 0.000
Li 0.002 0.832 0.376
Li 0.008 0.379 0.203
Li 0.488 0.106 0.288
V 0.011 0.614 0.773
V 0.501 0.707 0.094
V 0.502 0.930 0.667
V 0.515 0.303 0.885
V 0.530 0.510 0.467
O 0.269 0.823 0.539
O 0.271 0.663 0.917
O 0.285 0.489 0.299
O 0.290 0.055 0.114
O 0.290 0.285 0.723
O 0.718 0.162 0.435
O 0.725 0.931 0.847
O 0.743 0.578 0.640
O 0.744 0.748 0.231
O 0.759 0.390 0.012

Calculated values
Spin magnetization in μB per formula unit: 9.000
Formation energy from the elements in eV per atom: -2.46
Raw total energy in eV for the cell shown: -133.9

First-principles (PBE+U) data for crystalline Sr9FeP7O28 at its relaxed geometry, as listed in Materials Project.

Cell: 9.093 9.093 18.188 Å, 108.14 108.14 72.43°
Sites, in units of the cell vectors:
Sr 0.003 0.997 0.500
Sr 0.004 0.444 0.722
Sr 0.010 0.444 0.227
Sr 0.123 0.552 0.447
Sr 0.123 0.559 0.952
Sr 0.243 0.786 0.336
Sr 0.317 0.778 0.837
Sr 0.444 0.004 0.222
Sr 0.444 0.010 0.727
Sr 0.552 0.123 0.947
Sr 0.559 0.123 0.452
Sr 0.563 0.568 0.675
Sr 0.568 0.563 0.175
Sr 0.774 0.777 0.571
Sr 0.777 0.774 0.071
Sr 0.778 0.317 0.337
Sr 0.786 0.243 0.836
Sr 0.997 0.003 0.000
Fe 0.282 0.283 0.588
Fe 0.283 0.282 0.088
P 0.167 0.176 0.883
P 0.167 0.689 0.640
P 0.176 0.167 0.383
P 0.177 0.689 0.145
P 0.387 0.875 0.030
P 0.388 0.397 0.792
P 0.395 0.875 0.535
P 0.397 0.388 0.292
P 0.689 0.167 0.140
P 0.689 0.177 0.645
P 0.756 0.807 0.838
P 0.807 0.756 0.338
P 0.875 0.387 0.530
P 0.875 0.395 0.035
O 0.043 0.300 0.575
O 0.044 0.305 0.078
O 0.055 0.309 0.842
O 0.056 0.770 0.572
O 0.069 0.074 0.892
O 0.069 0.295 0.338
O 0.070 0.670 0.690
O 0.070 0.779 0.080
O 0.074 0.069 0.392
O 0.075 0.668 0.193
O 0.254 0.792 0.972
O 0.255 0.508 0.833
O 0.259 0.520 0.597
O 0.260 0.261 0.968
O 0.261 0.260 0.468
O 0.264 0.520 0.099
O 0.267 0.783 0.481
O 0.269 0.495 0.337
O 0.295 0.069 0.838
O 0.296 0.781 0.693
O 0.300 0.043 0.075
O 0.303 0.304 0.707
O 0.304 0.303 0.207
O 0.305 0.044 0.578
O 0.309 0.055 0.342
O 0.309 0.772 0.202
O 0.490 0.495 0.783
O 0.490 0.894 0.982
O 0.494 0.783 0.093
O 0.494 0.893 0.484
O 0.495 0.269 0.837
O 0.495 0.490 0.283
O 0.508 0.255 0.333
O 0.509 0.793 0.601
O 0.520 0.259 0.097
O 0.520 0.264 0.599
O 0.577 0.808 0.823
O 0.668 0.075 0.693
O 0.670 0.070 0.190
O 0.694 0.809 0.263
O 0.757 0.865 0.416
O 0.757 0.985 0.852
O 0.770 0.056 0.072
O 0.772 0.309 0.702
O 0.779 0.070 0.580
O 0.781 0.296 0.193
O 0.783 0.267 0.981
O 0.783 0.494 0.593
O 0.792 0.254 0.472
O 0.793 0.509 0.101
O 0.808 0.577 0.323
O 0.809 0.694 0.763
O 0.865 0.757 0.916
O 0.893 0.494 0.984
O 0.894 0.490 0.482
O 0.985 0.757 0.352

Calculated values
- - -
**Outcome:**
{"formula": "MgTa4As4O20", "functional": "PBE", "state": "optimized geometry", "spacegroup": "No. 6", "ef_ev_per_atom": -2.505, "mass_density_g_cm3": 4.85, "vol_a3_per_fu": 468.7, "crystal_system": "monoclinic", "cell": [[6.990, 0.000, 0.000], [0.000, 5.536, 0.000], [-1.024, 0.000, 12.114]], "species": ["Mg", "Ta", "Ta", "Ta", "Ta", "As", "As", "As", "As", "O", "O", "O", "O", "O", "O", "O", "O", "O", "O", "O", "O", "O", "O", "O", "O", "O", "O", "O", "O"], "frac_coords": [[0.000, 0.000, 0.000], [0.316, 0.000, 0.602], [0.406, 0.000, 0.132], [0.773, 0.500, 0.203], [0.992, 0.500, 0.701], [0.068, 0.000, 0.328], [0.307, 0.500, 0.958], [0.603, 0.500, 0.493], [0.703, 0.000, 0.798], [0.114, 0.500, 0.856], [0.126, 0.000, 0.464], [0.158, 0.250, 0.656], [0.158, 0.750, 0.656], [0.229, 0.225, 0.033], [0.229, 0.775, 0.033], [0.287, 0.000, 0.267], [0.464, 0.000, 0.752], [0.485, 0.248, 0.537], [0.485, 0.752, 0.537], [0.583, 0.250, 0.152], [0.583, 0.750, 0.152], [0.611, 0.500, 0.355], [0.735, 0.000, 0.939], [0.805, 0.252, 0.750], [0.805, 0.748, 0.750], [0.834, 0.500, 0.555], [0.892, 0.500, 0.079], [0.948, 0.248, 0.282], [0.948, 0.752, 0.282]]}

* * * * *

First-principles (PBE+U) data for crystalline Li4V5O10 at its relaxed geometry, as listed in Materials Project.

Cell: 5.153 5.244 7.840 Å, 71.13 71.89 80.47°
Sites, in units of the cell vectors:
Li 0.000 0.000 0.000
Li 0.002 0.832 0.376
Li 0.008 0.379 0.203
Li 0.488 0.106 0.288
V 0.011 0.614 0.773
V 0.501 0.707 0.094
V 0.502 0.930 0.667
V 0.515 0.303 0.885
V 0.530 0.510 0.467
O 0.269 0.823 0.539
O 0.271 0.663 0.917
O 0.285 0.489 0.299
O 0.290 0.055 0.114
O 0.290 0.285 0.723
O 0.718 0.162 0.435
O 0.725 0.931 0.847
O 0.743 0.578 0.640
O 0.744 0.748 0.231
O 0.759 0.390 0.012

Calculated values
Spin magnetization in μB per formula unit: 9.000
Formation energy from the elements in eV per atom: -2.46
Raw total energy in eV for the cell shown: -133.9

First-principles (PBE+U) data for crystalline Sr9FeP7O28 at its relaxed geometry, as listed in Materials Project.

Cell: 9.093 9.093 18.188 Å, 108.14 108.14 72.43°
Sites, in units of the cell vectors:
Sr 0.003 0.997 0.500
Sr 0.004 0.444 0.722
Sr 0.010 0.444 0.227
Sr 0.123 0.552 0.447
Sr 0.123 0.559 0.952
Sr 0.243 0.786 0.336
Sr 0.317 0.778 0.837
Sr 0.444 0.004 0.222
Sr 0.444 0.010 0.727
Sr 0.552 0.123 0.947
Sr 0.559 0.123 0.452
Sr 0.563 0.568 0.675
Sr 0.568 0.563 0.175
Sr 0.774 0.777 0.571
Sr 0.777 0.774 0.071
Sr 0.778 0.317 0.337
Sr 0.786 0.243 0.836
Sr 0.997 0.003 0.000
Fe 0.282 0.283 0.588
Fe 0.283 0.282 0.088
P 0.167 0.176 0.883
P 0.167 0.689 0.640
P 0.176 0.167 0.383
P 0.177 0.689 0.145
P 0.387 0.875 0.030
P 0.388 0.397 0.792
P 0.395 0.875 0.535
P 0.397 0.388 0.292
P 0.689 0.167 0.140
P 0.689 0.177 0.645
P 0.756 0.807 0.838
P 0.807 0.756 0.338
P 0.875 0.387 0.530
P 0.875 0.395 0.035
O 0.043 0.300 0.575
O 0.044 0.305 0.078
O 0.055 0.309 0.842
O 0.056 0.770 0.572
O 0.069 0.074 0.892
O 0.069 0.295 0.338
O 0.070 0.670 0.690
O 0.070 0.779 0.080
O 0.074 0.069 0.392
O 0.075 0.668 0.193
O 0.254 0.792 0.972
O 0.255 0.508 0.833
O 0.259 0.520 0.597
O 0.260 0.261 0.968
O 0.261 0.260 0.468
O 0.264 0.520 0.099
O 0.267 0.783 0.481
O 0.269 0.495 0.337
O 0.295 0.069 0.838
O 0.296 0.781 0.693
O 0.300 0.043 0.075
O 0.303 0.304 0.707
O 0.304 0.303 0.207
O 0.305 0.044 0.578
O 0.309 0.055 0.342
O 0.309 0.772 0.202
O 0.490 0.495 0.783
O 0.490 0.894 0.982
O 0.494 0.783 0.093
O 0.494 0.893 0.484
O 0.495 0.269 0.837
O 0.495 0.490 0.283
O 0.508 0.255 0.333
O 0.509 0.793 0.601
O 0.520 0.259 0.097
O 0.520 0.264 0.599
O 0.577 0.808 0.823
O 0.668 0.075 0.693
O 0.670 0.070 0.190
O 0.694 0.809 0.263
O 0.757 0.865 0.416
O 0.757 0.985 0.852
O 0.770 0.056 0.072
O 0.772 0.309 0.702
O 0.779 0.070 0.580
O 0.781 0.296 0.193
O 0.783 0.267 0.981
O 0.783 0.494 0.593
O 0.792 0.254 0.472
O 0.793 0.509 0.101
O 0.808 0.577 0.323
O 0.809 0.694 0.763
O 0.865 0.757 0.916
O 0.893 0.494 0.984
O 0.894 0.490 0.482
O 0.985 0.757 0.352

Calculated values